As futures prices of natural rubber continue to grow, arrivals at warehouses of commodity exchanges have increased, enabling farmers and traders to rake in increased profits. Arrivals on the NMCE authorised warehouses have increased sharply during the past year.

“We are seeing increased arrival of rubber at the exchange warehouse that increased 89 per cent year-on-year. From 3,480 tonnes as on January 1 last year, rubber stocks have surged to 7,787 tonnes this year. There has been increased participation of hedgers and the open market interest has gone up to 10,503 lots, which is 264 per cent of the daily traded volume on the exchange,” said Mr Anil Mishra, Managing Director and CEO of the NMCE.

This is not surprising as the price difference between the current and futures price for rubber continues to widen. While the January price was Rs 217.99 a kg, the April price has already widened to Rs 237.90 currently. Thus, the grower/trader selling in the forward market can realise over Rs 19 a kg, while delivering rubber to the exchange warehouses. The warehouse receipt would also enable the grower to receive funding from banks.

And there are numerous farmers' cooperative societies and the NAFED that have deposited rubber with the exchange warehouses. Already the exchange has a large number of warehouses in the growing regions in Kerala. But as the storage demand continues to grow, the NMCE is trying to increase the warehouse space to accommodate more stocks, Mr Mishra pointed out.

Data records, as found in the file.
┌──
The following is a PBE with a Hubbard U calculation of an optimized crystal structure of ScCrTc2O, from Alexandria via LeMat-Bulk.

abc: 4.2936 5.1932 4.2936
angles: 90.00 90.00 90.00
Last column: magnetic moment on the atom in μB.
Sites, in units of the cell vectors:
O1 0.5000 0.5000 0.5000  0.60
Cr1 0.0000 0.0000 0.0000  0.54
Tc1 0.0000 0.0000 0.5000  0.69
Tc2 0.5000 0.0000 0.0000  0.90
Sc1 0.0000 0.5000 0.0000  -0.04

Values from the calculation:
- Density of states at the Fermi level: 6.14 states/eV/f.u.
- Final energy: -31.29 eV/cell
- Total magnetic moment: 2.957 μB/cell
- Space-group type: P4/mmm
- Polymorph energy (0 for the lowest one): 88.5 kJ per mole of atoms
└──

At the last Trade and Settlement Committee meeting of the NMCE held at Kochi, the stakeholders had agreed to the idea of tendering from exchange empanelled reputed sellers godowns that were to be converted as accredited warehouse for delivery in order to reduce the cost. The NMCE is working hard to implement the scheme.


Commodity exchanges are not ideal for giving and taking delivery the world over where only one to two per cent of the delivery takes place. However, they become buyers or sellers of last resort at a time of crisis, a press release from the NMCE said. Delivery is a tool which keeps the prices aligned with physical markets and keeps a curb on manipulators.

The NMCE along with the Forward Markets Commission had recently conducted a training programme for the members of the All India Rubber Industries Association at New Delhi and Jalandhar to educate its members on ‘How futures market is going to solve their problems of price risk management through hedging'. Prof. K.K. Abraham, President of Pala Marketing Cooperative Society said: “Online trading in the NMCE has been a great help to rubber marketing cooperatives and rubber dealers since it kept the price buoyant, thereby doing great service to rubber growers.”

Mr Siby Monipally, Member of the Rubber Board said: “By the introduction of futures trading in rubber and other agricultural commodities, an efficient, transparent and parallel system is in place to further the interest of the farmers and cooperatives.”